The reader should find the line further below that holds "0.1 1.0", then give back that line and all lines after it there.
~~~
# C32H62F9N2O14P3S

A 4-piece molecular cluster, C32H62F9N2O14P3S overall in a non-equilibrium geometry (wB97M-V/def2-TZVPD, the OMol25 dataset).

XYZ file:
```
123
Properties=species:S:1:pos:R:3:forces:R:3:lowdin_charge:R:1
S -3.0385 -7.2839 8.2023 -0.6 -0.2 4.0 0.91
P 2.4428 4.2397 -0.3237 1.7 2.5 8.7 0.66
P 2.1430 -3.4237 -1.1739 1.4 -1.9 -8.2 0.66
P 0.5364 7.1140 -6.1053 6.1 -0.6 -6.0 0.66
F -5.0931 -8.3371 6.8993 1.8 0.6 -0.3 0.11
F -4.6157 -6.1102 5.3095 1.4 -1.3 0.9 0.08
F -1.5033 -7.4613 7.7004 -1.6 0.5 -0.1 -0.14
F -2.4632 -6.7164 9.6141 -0.3 -0.5 -1.5 -0.14
F -2.9646 -8.8006 8.8530 -0.1 1.7 -0.8 -0.16
F -3.1586 -5.7485 7.6918 0.6 -1.5 -0.2 -0.14
F -4.5497 -7.1215 8.8449 1.7 0.0 -0.6 -0.16
F -4.2477 -8.0413 4.3478 0.4 0.5 1.5 0.06
F -3.1450 -9.2202 6.4144 -0.4 1.8 0.2 0.10
O 3.9811 4.7231 -0.8251 -2.1 -0.8 -2.8 -0.20
O -2.4333 -4.6814 2.4746 -0.6 -0.1 1.5 0.02
O -0.6579 -3.8289 3.5038 -0.8 -0.4 0.6 0.11
O 1.4134 6.2659 -4.9412 -3.2 0.6 0.8 -0.19
O 3.1946 3.3845 0.8834 -0.1 -0.8 -1.1 -0.21
O -0.4481 7.8048 -7.0209 -1.9 -0.3 3.5 -0.24
O 1.0003 5.9180 -7.1346 -0.6 -0.3 1.0 -0.22
O 1.3964 -3.0124 -2.5822 -0.7 0.1 1.0 -0.22
O 2.3931 5.7050 0.4306 0.1 0.3 -1.4 -0.22
O 0.9082 -4.5555 -1.0047 0.4 2.2 2.5 -0.19
O 3.1262 -4.6221 -1.7599 -0.1 0.1 1.3 -0.21
O 1.0221 3.8275 0.0036 0.2 -0.9 -4.1 -0.24
O 3.1445 -2.2918 -1.1356 -1.5 -0.1 3.7 -0.24
O 1.8271 8.1359 -6.2912 -0.8 0.2 1.0 -0.21
N -4.6546 -2.1852 0.7793 0.2 -1.4 -0.7 -0.10
N -4.8596 -4.4753 2.7609 0.6 0.2 -0.6 0.11
C 1.3287 -1.6506 -2.9944 0.2 0.2 -0.3 -0.30
C -3.7763 -8.0165 6.6540 -1.6 -1.9 -1.3 -0.39
C -5.9373 -2.6720 0.2008 -0.2 0.9 0.2 -0.12
C 0.8881 -5.3947 0.1443 -0.1 -0.6 0.4 -0.28
C 2.3878 -1.3719 -4.0432 0.1 -0.1 -0.1 -0.08
C -3.6620 -3.2579 0.9420 1.7 0.0 0.9 -0.17
C 2.0317 10.0932 -4.8789 0.0 -0.1 0.1 -0.08
C 1.4655 6.7625 -3.6096 0.2 0.1 0.5 -0.28
C -4.2147 -2.4938 4.6498 0.8 1.6 -0.1 -0.03
C 3.8845 1.0955 0.4910 0.1 0.1 -0.1 -0.08
C 4.7519 3.8516 -1.6446 0.6 -0.2 -0.2 -0.29
C 2.8687 2.0213 1.1316 0.1 -0.4 0.3 -0.29
C 1.1762 6.4386 0.5086 -0.2 0.1 0.3 -0.31
C -3.5767 -3.8072 2.4535 -1.4 2.4 -1.3 -0.45
C -3.4714 -2.5435 3.3736 0.0 2.0 2.5 -0.13
C 1.6605 9.5479 -6.2449 0.2 0.5 -0.1 -0.29
C -1.9178 -5.2567 4.9620 0.5 -0.6 0.2 -0.05
C -2.6555 -0.1583 3.9257 -1.2 -1.4 0.6 -0.06
C 0.0990 7.1033 -3.0532 -0.1 -0.1 -0.1 -0.08
C 4.4308 -4.8270 -1.2320 0.5 -0.2 -0.1 -0.29
C 0.4358 6.0460 -9.4742 0.1 0.1 -0.1 -0.08
C 3.9810 3.3271 -2.8384 -0.1 0.1 0.0 -0.08
C -2.2949 -6.7897 4.8029 -0.1 0.6 -0.7 -0.04
C 1.0428 -4.6242 1.4385 0.1 0.1 -0.4 -0.09
C -1.6312 -4.5275 3.6150 0.9 0.4 0.2 -0.41
C 4.4374 -5.9651 -0.2290 -0.2 0.0 0.1 -0.08
C -2.6955 -1.3342 3.0568 -0.9 -0.2 1.4 -0.02
C -3.7251 -7.1714 5.3321 0.0 0.1 -2.5 -0.37
C -3.4080 -0.1046 5.1904 0.0 -2.7 -2.0 -0.07
C 0.5499 6.2618 1.8779 0.0 0.0 0.2 -0.07
C -4.1797 -1.3140 5.5280 1.1 0.9 -1.4 -0.07
C 0.1043 5.4296 -8.1293 0.0 0.0 -0.4 -0.30
H -0.0779 -5.9057 0.1458 0.0 0.1 -0.2 0.12
H 1.2043 6.6737 2.6493 0.0 0.1 -0.1 0.08
H 3.7111 0.0605 0.7901 0.0 0.0 -0.1 0.07
H 0.2750 -3.8581 1.5231 0.0 -0.1 0.0 0.07
H 1.4185 7.4942 0.3524 0.1 -0.1 0.0 0.12
H 0.2340 4.3453 -8.1834 0.1 0.0 0.1 0.11
H 2.2018 -1.9708 -4.9375 -0.1 0.1 0.0 0.08
H 2.3295 9.9732 -6.9969 0.0 -0.1 0.0 0.12
H 1.4371 5.7461 -9.7915 -0.1 -0.1 0.0 0.08
H 1.9151 5.9771 -2.9964 0.0 -0.1 -0.2 0.10
H 3.9716 -6.8588 -0.6499 0.1 0.0 0.0 0.08
H -5.8875 -3.7313 -0.1598 0.0 0.9 0.2 0.08
H 3.1255 2.7175 -2.5234 0.0 -0.1 0.0 0.07
H 3.8186 1.1467 -0.5994 0.0 -0.1 0.0 0.06
H 5.6099 4.4279 -1.9987 -0.1 0.1 0.1 0.12
H 1.8649 1.7667 0.7842 0.0 0.2 0.0 0.10
H -0.3739 7.9100 -3.6256 0.1 0.1 0.0 0.07
H 1.6508 -6.1710 0.0456 0.1 0.1 -0.1 0.10
H 4.8363 -3.9239 -0.7704 -0.2 0.1 -0.1 0.10
H -1.4932 -7.4765 5.1940 -1.0 0.8 -0.1 0.13
H 0.3371 -1.4874 -3.4253 0.0 -0.2 0.1 0.11
H -2.6333 -2.8431 0.7299 -1.0 -0.5 0.0 0.12
H -3.4053 0.8028 5.8396 0.0 -1.0 -0.7 0.10
H 0.1785 7.4254 -2.0146 0.0 0.1 -0.1 0.06
H -5.5500 -3.7110 2.7476 0.3 -0.4 0.2 0.08
H 3.5896 4.1528 -3.4375 0.1 0.0 0.0 0.07
~~~
O 1.3964 -3.0124 -2.5822 -0.7 0.1 1.0 -0.22
O 2.3931 5.7050 0.4306 0.1 0.3 -1.4 -0.22
O 0.9082 -4.5555 -1.0047 0.4 2.2 2.5 -0.19
O 3.1262 -4.6221 -1.7599 -0.1 0.1 1.3 -0.21
O 1.0221 3.8275 0.0036 0.2 -0.9 -4.1 -0.24
O 3.1445 -2.2918 -1.1356 -1.5 -0.1 3.7 -0.24
O 1.8271 8.1359 -6.2912 -0.8 0.2 1.0 -0.21
N -4.6546 -2.1852 0.7793 0.2 -1.4 -0.7 -0.10
N -4.8596 -4.4753 2.7609 0.6 0.2 -0.6 0.11
C 1.3287 -1.6506 -2.9944 0.2 0.2 -0.3 -0.30
C -3.7763 -8.0165 6.6540 -1.6 -1.9 -1.3 -0.39
C -5.9373 -2.6720 0.2008 -0.2 0.9 0.2 -0.12
C 0.8881 -5.3947 0.1443 -0.1 -0.6 0.4 -0.28
C 2.3878 -1.3719 -4.0432 0.1 -0.1 -0.1 -0.08
C -3.6620 -3.2579 0.9420 1.7 0.0 0.9 -0.17
C 2.0317 10.0932 -4.8789 0.0 -0.1 0.1 -0.08
C 1.4655 6.7625 -3.6096 0.2 0.1 0.5 -0.28
C -4.2147 -2.4938 4.6498 0.8 1.6 -0.1 -0.03
C 3.8845 1.0955 0.4910 0.1 0.1 -0.1 -0.08
C 4.7519 3.8516 -1.6446 0.6 -0.2 -0.2 -0.29
C 2.8687 2.0213 1.1316 0.1 -0.4 0.3 -0.29
C 1.1762 6.4386 0.5086 -0.2 0.1 0.3 -0.31
C -3.5767 -3.8072 2.4535 -1.4 2.4 -1.3 -0.45
C -3.4714 -2.5435 3.3736 0.0 2.0 2.5 -0.13
C 1.6605 9.5479 -6.2449 0.2 0.5 -0.1 -0.29
C -1.9178 -5.2567 4.9620 0.5 -0.6 0.2 -0.05
C -2.6555 -0.1583 3.9257 -1.2 -1.4 0.6 -0.06
C 0.0990 7.1033 -3.0532 -0.1 -0.1 -0.1 -0.08
C 4.4308 -4.8270 -1.2320 0.5 -0.2 -0.1 -0.29
C 0.4358 6.0460 -9.4742 0.1 0.1 -0.1 -0.08
C 3.9810 3.3271 -2.8384 -0.1 0.1 0.0 -0.08
C -2.2949 -6.7897 4.8029 -0.1 0.6 -0.7 -0.04
C 1.0428 -4.6242 1.4385 0.1 0.1 -0.4 -0.09
C -1.6312 -4.5275 3.6150 0.9 0.4 0.2 -0.41
C 4.4374 -5.9651 -0.2290 -0.2 0.0 0.1 -0.08
C -2.6955 -1.3342 3.0568 -0.9 -0.2 1.4 -0.02
C -3.7251 -7.1714 5.3321 0.0 0.1 -2.5 -0.37
C -3.4080 -0.1046 5.1904 0.0 -2.7 -2.0 -0.07
C 0.5499 6.2618 1.8779 0.0 0.0 0.2 -0.07
C -4.1797 -1.3140 5.5280 1.1 0.9 -1.4 -0.07
C 0.1043 5.4296 -8.1293 0.0 0.0 -0.4 -0.30
H -0.0779 -5.9057 0.1458 0.0 0.1 -0.2 0.12
H 1.2043 6.6737 2.6493 0.0 0.1 -0.1 0.08
H 3.7111 0.0605 0.7901 0.0 0.0 -0.1 0.07
H 0.2750 -3.8581 1.5231 0.0 -0.1 0.0 0.07
H 1.4185 7.4942 0.3524 0.1 -0.1 0.0 0.12
H 0.2340 4.3453 -8.1834 0.1 0.0 0.1 0.11
H 2.2018 -1.9708 -4.9375 -0.1 0.1 0.0 0.08
H 2.3295 9.9732 -6.9969 0.0 -0.1 0.0 0.12
H 1.4371 5.7461 -9.7915 -0.1 -0.1 0.0 0.08
H 1.9151 5.9771 -2.9964 0.0 -0.1 -0.2 0.10
H 3.9716 -6.8588 -0.6499 0.1 0.0 0.0 0.08
H -5.8875 -3.7313 -0.1598 0.0 0.9 0.2 0.08
H 3.1255 2.7175 -2.5234 0.0 -0.1 0.0 0.07
H 3.8186 1.1467 -0.5994 0.0 -0.1 0.0 0.06
H 5.6099 4.4279 -1.9987 -0.1 0.1 0.1 0.12
H 1.8649 1.7667 0.7842 0.0 0.2 0.0 0.10
H -0.3739 7.9100 -3.6256 0.1 0.1 0.0 0.07
H 1.6508 -6.1710 0.0456 0.1 0.1 -0.1 0.10
H 4.8363 -3.9239 -0.7704 -0.2 0.1 -0.1 0.10
H -1.4932 -7.4765 5.1940 -1.0 0.8 -0.1 0.13
H 0.3371 -1.4874 -3.4253 0.0 -0.2 0.1 0.11
H -2.6333 -2.8431 0.7299 -1.0 -0.5 0.0 0.12
H -3.4053 0.8028 5.8396 0.0 -1.0 -0.7 0.10
H 0.1785 7.4254 -2.0146 0.0 0.1 -0.1 0.06
H -5.5500 -3.7110 2.7476 0.3 -0.4 0.2 0.08
H 3.5896 4.1528 -3.4375 0.1 0.0 0.0 0.07